January 14, 2022

“Repairing on the Road” Type 170V Cabrio from MiniArt in 1/35th scale - Pt II: Paint & weathering

Adam O'Brien's version of MiniArt's 1/35th scale 170V Cabrio is complete. He takes us from completion of construction to priming, painting and weathering to the finished kit you see here (with figures still to come). See how he made it so nicely in Pt II of his review...

Construction Review: “Repairing on the Road” Type 170V Cabrio
From MiniArt
1/35th scale
Kit No# 35295
6 marking types are included in the box.
Price: $45USD from Hobbylink Japan
Parts of this story:

Today: Pt II: Paint & Weathering
The main sub-assemblies of the model were first given an overall primer coat of Mr Hobby’s Mr Finishing Surfacer 1500 Black. This has been my go-to primer for many years as it sprays beautifully, self-levels and dries to a nice, no grain, sheen finish. 
Once dry, I lightly sprayed from the top-down, a misted coat of Mr Finishing Surfacer White – as pre-shading to the curves of the bodywork.
Rather than paint all parts individually, I opted to completely assemble the engine and chassis as a single sub-assembly. This was done to speed up the build process, and make painting easier. Most of this detail would be lost under the car anyway, also, the engine itself will only be partly seen under the half-opened hood. I therefore sprayed the silver components of the engine freehand, with no masking as the subsequent pin-washes would blur the sharp line between colours anyway.
To emphasize the curves of the bodywork, I painted the body panels with a graduation of colour, from dark to light grey. 
These colour coats were very light, thinned coats of the Gaianotes paint as illustrated – almost like filters.
The final highlight colour was airbrushed on a little thicker to allow the lighter shade to have some coverage.
At this point, I applied some fine (restrained) chipping on the bodywork, only around the areas I thought would be most prone to wear, such as the running-boards, fender extremities and around the door handles. For the basic chipping I used Vallejo Burnt Umber, applied with a small piece of foam. Once I was happy with the general look of the chipping, it was further refined with sepia extra oil paint from Old Holland. Generally, I thin my oils with the VMS Oil Expert Medium only. This medium both thins the paint and gives it a matt finish.

• Inserted here: materials data:
/*
The following is a DFT calculation (PBE) of a relaxed TbErSnCl2 crystal.

Summary:
For the total magnetization, the calculation gives 0.0 μB per formula unit. The calculation puts the theoretical density at 5.77 Mg/m³. The calculation puts the calculated total energy at -4.839 eV per atom.

abc: 4.173 4.173 9.846
angles: 90.00 90.00 120.00
Fractional positions:
Tb 0.000 0.000 0.000
Er 0.333 0.667 0.634
Sn 0.667 0.333 0.815
Cl 0.000 0.000 0.485
Cl 0.333 0.667 0.153

***

The following is a DFT calculation (PBE) of a relaxed ErTe2Cl2 crystal.

Summary:
For the total magnetization, the calculation gives 0.0 μB per formula unit. The calculation puts the theoretical density at 4.74 Mg/m³. The calculation puts the calculated total energy at -4.300 eV per atom.

abc: 7.923 7.923 7.187
angles: 96.18 96.18 127.85
Fractional positions:
Er 0.175 0.825 0.000
Er 0.825 0.175 0.000
Te 0.097 0.097 0.344
Te 0.261 0.261 0.933
Te 0.739 0.739 0.067
Te 0.903 0.903 0.656
Cl 0.096 0.570 0.238
Cl 0.430 0.904 0.762
Cl 0.570 0.096 0.238
Cl 0.904 0.430 0.762


Computed, not measured: an optimized crystal structure of In2TcAs at the GGA-PBEsol level of DFT.

Raw total energy, eV/atom: -5.20
Calculated density, Mg/m³: 8.79
Crystal system: trigonal
Spin magnetization, μB/cell: 0.0
N(E_F), states/eV/cell: 3.1

Lattice parameters (Å, degrees): 9.765 9.765 9.765 17.82 17.82 17.82
Fractional coordinates of all 4 atoms:
1 In 0.242 0.242 0.242
2 In 0.758 0.758 0.758
3 Tc 0.500 0.500 0.500
4 As 0.000 0.000 0.000

Computed, not measured: an optimized crystal structure of RbMnSi2H at the GGA-PBEsol level of DFT.

Raw total energy, eV/atom: -4.20
Calculated density, Mg/m³: 3.62
Crystal system: tetragonal
Spin magnetization, μB/cell: 3.6
N(E_F), states/eV/cell: 2.8

Lattice parameters (Å, degrees): 5.330 5.330 3.188 90.00 90.00 90.00
Fractional coordinates of all 5 atoms:
1 Rb 0.000 0.000 0.000
2 Mn 0.500 0.500 0.000
3 Si 0.000 0.500 0.500
4 Si 0.500 0.000 0.500
5 H 0.500 0.500 0.500

Computed, not measured: an optimized crystal structure of Y2ReSe at the GGA-PBEsol level of DFT.

E_form (uncorrected), meV/atom: -176
Calculated density, Mg/m³: 8.39
Crystal system: trigonal
Spin magnetization, μB/cell: 0.0
N(E_F), states/eV/cell: 4.3

Lattice parameters (Å, degrees): 5.778 5.778 5.778 44.97 44.97 44.97
Fractional coordinates of all 4 atoms:
1 Y 0.000 0.000 0.000
2 Y 0.199 0.199 0.199
3 Re 0.774 0.774 0.774
4 Se 0.421 0.421 0.421

Computed, not measured: an optimized crystal structure of MgTe2Br at the GGA-PBEsol level of DFT.

E_form (uncorrected), meV/atom: -428
Calculated density, Mg/m³: 5.30
Crystal system: trigonal
Spin magnetization, μB/cell: 0.0
ΔE to the lowest computed polymorph, meV per atom: 0.0
N(E_F), states/eV/cell: 1.8

Lattice parameters (Å, degrees): 9.337 9.337 9.337 23.39 23.39 23.39
Fractional coordinates of all 4 atoms:
1 Mg 0.000 0.000 0.000
2 Te 0.260 0.260 0.260
3 Te 0.513 0.513 0.513
4 Br 0.722 0.722 0.722
*/

The folded top cover was given an enamel green filter at this stage to provide a slightly different tone to the bodywork. I also worked some highlighting and shadows into this part to give it a more realistic, fabric look.
The seats and leather parts were all first given the black primer. Partially over this, I applied Tamiya XF-79, leaving the deepest fold between the base and backrest in black. As a highlight, I used Tamiya XF-55, lightly airbrushed over the extremities of the seating only. Lastly, a deep wash of Sepia Extra oil was applied to the stitching recesses.
Once the basic painting was applied to the leather parts, I further refined them with a couple of colours from the Oilbrusher range. Here I used Dark Brown for the deepest recesses in the leather, then Buff for the extreme highlights. I like using Oilbrushers for the final touches to any paint detailing job as they are very convenient, and dry quickly to a matt finish.
Back on the engine and chassis, I applied a dark pinwash using Old Holland’s Sepia Extra – a bit heavier than my usual pin wash, just to blend the silver to the grey more effectively. I also misted a light coat of Gaianotes German Grey (#221) over most of the chassis rails etc. Here I also hand-painted the engine’s fan belt in Vallejo black.
The kit decals are excellent and responded well to Mr. Mark Softer from GSI Creos. Once on, but not quite set, I chipped and slightly damaged the markings with a scalpel blade – just so they would not look pristine on a weathered body. The decals were then over-sprayed with a highly-thinned, very dark brown mixture from Tamiya acrylics.
On such a small model (see the final photo next to a Tamiya Liquid Cement bottle) – it can be easy to overdo the chipping/weathering, so generally, I only work on very small areas at a time. 
I like to take a lot of quick progress photos on the phone and study them enlarged on my computer screen – this normally shows where I have gone too far, and where touch-up or blending is required.

== The text is interrupted by data records ==
<<<
[1]
Entry from Alexandria via LeMat-Bulk: crystalline TbPr3Tl3Te8 at its relaxed geometry (GGA-PBE).

## Properties
formation energy from raw total energies	-1062	meV per atom
crystal system	monoclinic
DFT total energy	-4.476	eV/atom
M_tot	0.000	μB per atom

Cell lengths 15.701, 9.070, 9.683 Å; angles 90.00, 122.69, 90.00 degrees
Space group C2/m (No. 12)
Unique sites:
Tb  0.000  0.000  0.000
Pr  0.000  0.500  0.000
Pr  0.250  0.250  0.000
Tl  0.000  0.000  0.500
Tl  0.250  0.250  0.500
Te  0.008  0.244  0.780
Te  0.236  0.000  0.220
Te  0.242  0.500  0.226

***

[2]
Entry from Alexandria via LeMat-Bulk: crystalline Ba3InAu at its relaxed geometry (GGA-PBE).

## Properties
energy of formation from the pure elements	-385	meV per atom
crystal system	monoclinic
DFT total energy	-2.742	eV/atom
M_tot	0.000	μB per atom

Cell lengths 15.444, 12.793, 8.888 Å; angles 90.00, 90.06, 90.00 degrees
Space group C2/c (No. 15)
Unique sites:
Ba  0.102  0.081  0.095
Ba  0.103  0.419  0.905
Ba  0.249  0.184  0.705
In  0.000  0.180  0.750
In  0.000  0.321  0.250
Au  0.250  0.054  0.376

***

The lowest DFT total energy belongs to which entry?
TbPr3Tl3Te8

***

What is the M_tot in the first record?
0.000 μB per atom

----------

# ZnCrF2

Crystalline ZnCrF2 at its relaxed geometry (GGA+U, Alexandria).

Total moment, μB per atom: 1.0000
Offset from the most stable computed form, meV per atom: 0
Calculated volume, Å³/f.u.: 95.0
Total energy, eV/atom: -4.574

Unit cell a=5.848 b=5.848 c=11.110 alpha=90.00 beta=90.00 gamma=90.00
Space group I-42d (No. 122)
One atom of each set of equivalent atoms:
1 Zn 0.000 0.000 0.000 x4
2 Cr 0.000 0.000 0.500 x4
3 F 0.002 0.250 0.625 x8

----------

Here is CsPrCdBr6 after structural relaxation from Alexandria. Energies are from GGA-PBE.

Computed properties:
DOS at the Fermi energy: 0.0 states/eV per cell
E_form (uncorrected): -1.537 eV/atom
Space-group type: P-31c (163)

POSCAR file:
```
CsPrCdBr6
1.0
-3.701 6.005 -2.586
-0.516 -6.571 -3.606
-12.648 -3.932 8.972
Cs Pr Cd Br
2 2 2 12
Direct
0.000 0.000 0.000
0.000 0.000 0.500
0.333 0.667 0.250
0.667 0.333 0.750
0.667 0.333 0.250
0.333 0.667 0.750
0.622 0.611 0.145
0.989 0.378 0.145
0.378 0.989 0.645
0.011 0.622 0.855
0.389 0.378 0.355
0.989 0.611 0.355
0.611 0.989 0.855
0.622 0.011 0.355
0.011 0.389 0.645
0.389 0.011 0.145
0.611 0.622 0.645
0.378 0.389 0.855
```

----------

First-principles (GGA-PBE) data for a geometry-optimized BaAs2PbBr structure, as listed in Alexandria via LeMat-Bulk.

Results
Symmetry ... P4/mmm (123)
Raw total energy ... -3.63 eV per atom
Crystal system ... tetragonal
ΔE_f (raw) ... -0.3130 eV/atom

```
BaAs2PbBr
1.0
-1.4959 -3.7741 -3.5773
4.7198 0.5770 -2.5824
2.4175 -4.2469 3.4696
Pb As Ba Br
1 2 1 1
direct
0.0000 0.0000 0.0000
0.0000 0.5000 0.0000
0.5000 0.0000 0.0000
0.5000 0.5000 0.5000
0.0000 0.0000 0.5000
```
>>>
== The data records stop here ==

The next three photos show the bodywork and interior in progress, just before the final assembly.
A series of final shots of the finished Staff Car.
Next up – Final Part Three – A Vignette With Figures

____________
# SmBeCoSi2

Crystalline SmBeCoSi2 at its relaxed geometry (PBE, the Alexandria database).

Unit cell a=3.904 b=3.904 c=9.889 alpha=90.00 beta=90.00 gamma=90.00
Fractional coordinates of all 10 atoms:
Sm 0.000 0.000 0.000
Sm 0.500 0.500 0.500
Be 0.000 0.500 0.250
Be 0.500 0.000 0.750
Co 0.000 0.500 0.750
Co 0.500 0.000 0.250
Si 0.000 0.000 0.373
Si 0.000 0.000 0.627
Si 0.500 0.500 0.127
Si 0.500 0.500 0.873

Electronic total energy   -5.8908 eV per atom
Raw formation energy   -0.611 eV/atom
Total magnetic moment   0.013 μB/atom
Density of states at the Fermi level   7.501 states/eV/cell
Symmetry   No. 119

# Al2CrCd

Crystalline Al2CrCd at its relaxed geometry (PBE, the Alexandria database).

Unit cell a=9.764 b=3.123 c=4.530 alpha=90.00 beta=109.77 gamma=90.00
Fractional coordinates of all 8 atoms:
Al 0.000 0.000 0.000
Al 0.243 0.000 0.666
Al 0.500 0.500 0.000
Al 0.743 0.500 0.666
Cr 0.229 0.500 0.132
Cr 0.729 0.000 0.132
Cd 0.481 0.000 0.475
Cd 0.981 0.500 0.475

Electronic total energy   -4.3430 eV per atom
Total magnetic moment   0.459 μB/atom
Density of states at the Fermi level   3.360 states/eV/cell
Symmetry   No. 8

# YSc3

Crystalline YSc3 at its relaxed geometry (PBE, the Alexandria database).

Unit cell a=3.363 b=4.657 c=6.724 alpha=90.00 beta=90.00 gamma=90.00
Fractional coordinates of all 4 atoms:
Y 0.000 0.000 0.000
Sc 0.000 0.000 0.500
Sc 0.500 0.500 0.260
Sc 0.500 0.500 0.740

Electronic total energy   -6.3004 eV per atom
Excess energy over the best structure of this formula in the dataset   46 meV/atom
Total magnetic moment   0.000 μB/atom
Density of states at the Fermi level   7.425 states/eV/cell
Symmetry   No. 47

# Sc2ReRu

Crystalline Sc2ReRu at its relaxed geometry (PBE, the Alexandria database).

Unit cell a=2.934 b=4.491 c=5.354 alpha=90.00 beta=103.76 gamma=90.00
Fractional coordinates of all 4 atoms:
Sc 0.000 0.000 0.000
Sc 0.262 0.500 0.719
Re 0.724 0.500 0.245
Ru 0.513 0.000 0.472

Electronic total energy   -8.6748 eV per atom
Total magnetic moment   0.000 μB/atom
Density of states at the Fermi level   3.989 states/eV/cell
Symmetry   No. 6

# Ir2I4Br

Crystalline Ir2I4Br at its relaxed geometry (PBE, the Alexandria database).

Unit cell a=5.716 b=5.716 c=17.147 alpha=90.00 beta=90.00 gamma=90.00
Fractional coordinates of all 14 atoms:
Ir 0.000 0.000 0.068
Ir 0.000 0.000 0.932
Ir 0.500 0.500 0.432
Ir 0.500 0.500 0.568
I 0.000 0.000 0.218
I 0.000 0.000 0.782
I 0.000 0.500 0.000
I 0.000 0.500 0.500
I 0.500 0.000 0.000
I 0.500 0.000 0.500
I 0.500 0.500 0.282
I 0.500 0.500 0.718
Br 0.000 0.000 0.500
Br 0.500 0.500 0.000

Electronic total energy   -2.9415 eV per atom
Raw formation energy   0.715 eV/atom
Total magnetic moment   0.233 μB/atom
Density of states at the Fermi level   15.070 states/eV/cell
Symmetry   No. 139

# MgW2Cl

Crystalline MgW2Cl at its relaxed geometry (PBE, the Alexandria database).

Unit cell a=2.962 b=4.514 c=5.326 alpha=90.00 beta=90.00 gamma=90.00
Fractional coordinates of all 4 atoms:
____________
End of the crystal structures >

Adam O'Brien

Thanks to MiniArt Models for sending this kit to Adam to build and review. You can see more about this kit and the others on their website...